=====
Record 1
The following is a DFT calculation (PBE-GGA) of a geometry-optimized Ge2Pb2Cl structure.

Summary:
SG: I4/mmm (139)
E_form (uncorrected): -192 meV/atom
final energy: -3.892 eV/atom
polymorph energy (0 for the lowest one): 0.00 kcal/mol of atoms
magnetic moment: 0.00 μB/atom

Unit cell a=3.9742 b=3.9742 c=8.9522 alpha=77.18 beta=77.18 gamma=90.00
Positions (direct):
Pb1 0.6130 0.6130 0.7740
Cl1 0.0000 0.0000 0.0000
Pb2 0.3870 0.3870 0.2260
Ge1 0.7500 0.2500 0.5000
Ge2 0.2500 0.7500 0.5000

=====

Record 2
The following is a DFT calculation (PBE-GGA) of a geometry-optimized MgCu2Se2 structure.

Summary:
SG: Cmcm (63)
E_form (uncorrected): -307 meV/atom
final energy: -3.658 eV/atom
polymorph energy (0 for the lowest one): 4.65 kcal/mol of atoms
magnetic moment: 0.00 μB/atom

Unit cell a=3.8864 b=3.8864 c=13.1099 alpha=90.00 beta=90.00 gamma=105.92
Positions (direct):
Se1 0.7160 0.7160 0.3766
Se2 0.7160 0.7160 0.1234
Cu1 0.2130 0.7870 0.5000
Cu2 0.2130 0.7870 0.0000
Mg1 0.1941 0.1941 0.2500
Se3 0.2840 0.2840 0.6234
Mg2 0.8059 0.8059 0.7500
Se4 0.2840 0.2840 0.8766
Cu3 0.7870 0.2130 0.0000
Cu4 0.7870 0.2130 0.5000

=====

Record 3
The following is a DFT calculation (PBE-GGA) of a geometry-optimized MnCrAu2 structure.

Summary:
energy relative to the elements: -0.03 eV per atom
SG: I-4m2 (119)
final energy: -6.363 eV/atom
magnetic moment: 0.01 μB/atom

Unit cell a=4.9840 b=4.9840 c=4.9840 alpha=133.32 beta=133.32 gamma=68.15
Positions (direct):
Mn1 0.7500 0.2500 0.5000
Cr1 0.5000 0.5000 0.0000
Au1 0.2500 0.7500 0.5000
Au2 0.0000 0.0000 0.0000

=====

Record 4
The following is a DFT calculation (PBE-GGA) of a geometry-optimized Si2RhCl structure.

Summary:
SG: R3m (160)
E_form (uncorrected): -39 meV/atom
final energy: -5.050 eV/atom
polymorph energy (0 for the lowest one): 1.77 kcal/mol of atoms
magnetic moment: 0.00 μB/atom

Unit cell a=6.6832 b=6.6832 c=6.6832 alpha=32.12 beta=32.12 gamma=32.12
Positions (direct):
Si1 0.0069 0.0069 0.0069
Cl1 0.4823 0.4823 0.4823
Rh1 0.7301 0.7301 0.7301
Si2 0.2808 0.2808 0.2808

=====

Record 5
The following is a DFT calculation (PBE-GGA) of a geometry-optimized AsH4 structure.

Summary:
SG: Pm-3m (221)
final energy: -2.858 eV/atom
magnetic moment: 0.08 μB/atom

Unit cell a=3.4839 b=3.4839 c=3.4839 alpha=90.00 beta=90.00 gamma=90.00
Positions (direct):
H1 0.0000 0.0000 0.0000
As1 0.5000 0.5000 0.5000
H2 0.0000 0.5000 0.5000
H3 0.5000 0.5000 0.0000
H4 0.5000 0.0000 0.5000

=====

Record 6
The following is a DFT calculation (PBE-GGA) of a geometry-optimized Na3ZnH6 structure.

Summary:
SG: Cmc2_1 (36)
final energy: -2.591 eV/atom
magnetic moment: 0.00 μB/atom

Unit cell a=4.9450 b=7.6549 c=7.6549 alpha=107.30 beta=90.00 gamma=90.00
Positions (direct):
H1 0.6337 0.5971 0.1094
Zn1 0.0086 0.1910 0.8090
Na1 0.4520 0.3481 0.6519
H2 0.1338 0.0671 0.9329
Na2 0.9695 0.6973 0.9129
H3 0.6337 0.8906 0.4029
H4 0.6338 0.9329 0.0671
H5 0.1337 0.4029 0.8906
Na3 0.9520 0.6519 0.3481
H6 0.2537 0.4651 0.4392
H7 0.1771 0.8072 0.1928
Na4 0.4695 0.3027 0.0871
H8 0.2537 0.5608 0.5349
H9 0.7537 0.5349 0.5608
H10 0.7537 0.4392 0.4651
Na5 0.9695 0.0871 0.3027
H11 0.1337 0.1094 0.5971
Na6 0.4695 0.9129 0.6973
H12 0.6771 0.1928 0.8072
Zn2 0.5086 0.8090 0.1910

=====

Repeat the fourth record exactly.
The following is a DFT calculation (PBE-GGA) of a geometry-optimized Si2RhCl structure.

Summary:
SG: R3m (160)
E_form (uncorrected): -39 meV/atom
final energy: -5.050 eV/atom
polymorph energy (0 for the lowest one): 1.77 kcal/mol of atoms
magnetic moment: 0.00 μB/atom

Unit cell a=6.6832 b=6.6832 c=6.6832 alpha=32.12 beta=32.12 gamma=32.12
Positions (direct):
Si1 0.0069 0.0069 0.0069
Cl1 0.4823 0.4823 0.4823
Rh1 0.7301 0.7301 0.7301
Si2 0.2808 0.2808 0.2808

----------

Density functional theory data (GGA-PBE) for Tl2InRh after structural relaxation.

a = 9.6891 Å, b = 9.6891 Å, c = 9.6891 Å
α = 20.30°, β = 20.30°, γ = 20.30°
Closest atoms and distances in Å follow each position.
Sites, in units of the cell vectors:
=====
Type out the part of the listing above that starts with the line with "-3.658 eV/atom" and stops after the one with "Mn1 0.7500".
final energy: -3.658 eV/atom
polymorph energy (0 for the lowest one): 4.65 kcal/mol of atoms
magnetic moment: 0.00 μB/atom

Unit cell a=3.8864 b=3.8864 c=13.1099 alpha=90.00 beta=90.00 gamma=105.92
Positions (direct):
Se1 0.7160 0.7160 0.3766
Se2 0.7160 0.7160 0.1234
Cu1 0.2130 0.7870 0.5000
Cu2 0.2130 0.7870 0.0000
Mg1 0.1941 0.1941 0.2500
Se3 0.2840 0.2840 0.6234
Mg2 0.8059 0.8059 0.7500
Se4 0.2840 0.2840 0.8766
Cu3 0.7870 0.2130 0.0000
Cu4 0.7870 0.2130 0.5000

=====

Record 3
The following is a DFT calculation (PBE-GGA) of a geometry-optimized MnCrAu2 structure.

Summary:
energy relative to the elements: -0.03 eV per atom
SG: I-4m2 (119)
final energy: -6.363 eV/atom
magnetic moment: 0.01 μB/atom

Unit cell a=4.9840 b=4.9840 c=4.9840 alpha=133.32 beta=133.32 gamma=68.15
Positions (direct):
Mn1 0.7500 0.2500 0.5000